Editor’s Note: This post was part of the Lightswitch project at KSJD, kindly motivated by Tom Yoder and edited by Penny Holiday.
Listen to it by heading here and scrolling down on the KSJD page.
I owe a career in journalism to my mother. So that I could visit her mother, she put me – a strawberry blonde 10-year old – on a plane bound for Cleveland from our home in Maine. She must have been concerned about ‘stranger danger’ because at the gate she told me:
If you get to talking with other passengers, make sure you ask more questions than you answer. Play a game of seeing how much you can learn about them and how little they find out about you.

At the Best Horse Practices Summit
-- begin --
Record 1
Crystalline LaCd4Ag at its relaxed geometry. Source: Alexandria, functional PBE.

Lattice parameters (Å, degrees): 5.9143 5.9143 5.9143 60.00 60.00 60.00
Fractional coordinates of all 6 atoms:
Ag 0.0000 0.0000 0.0000
Cd 0.8759 0.3747 0.3747
La 0.7500 0.7500 0.7500
Cd 0.3747 0.3747 0.8759
Cd 0.3747 0.8759 0.3747
Cd 0.3747 0.3747 0.3747

Values from the calculation:
The calculation puts the distance to the lowest polymorph of the same formula at 109 meV per atom.

Record 2
Crystalline VBSN2 at its relaxed geometry. Source: Alexandria, functional PBE.

Lattice parameters (Å, degrees): 3.1566 3.1566 6.0613 90.00 90.00 90.00
Fractional coordinates of all 5 atoms:
S 0.0000 0.0000 0.5000
N 0.0000 0.5000 0.0000
B 0.0000 0.0000 0.0000
N 0.5000 0.0000 0.0000
V 0.5000 0.5000 0.5000

Values from the calculation:
The calculation puts the distance to the lowest polymorph of the same formula at 0 meV per atom. As for the formation energy (no corrections): 0.851 eV per atom.

Record 3
Crystalline TbNi7Ge2 at its relaxed geometry. Source: Alexandria, functional PBE.

Lattice parameters (Å, degrees): 4.3487 6.5603 6.5603 119.83 90.00 90.00
Fractional coordinates of all 10 atoms:
Tb 0.0000 0.0000 0.0000
Ni 0.5000 0.2990 0.0686
Ni 0.5000 0.5000 0.5000
Ge 0.5000 0.7016 0.2984
Ni 0.0000 0.2317 0.7683
Ni 0.5000 0.7010 0.9314
Ni 0.5000 0.0686 0.2990
Ge 0.5000 0.2984 0.7016
Ni 0.0000 0.7683 0.2317
Ni 0.5000 0.9314 0.7010

Values from the calculation:
The electronic total energy comes out at -5.346 eV per atom.

Record 4
Crystalline YZnFeMo2 at its relaxed geometry. Source: Alexandria, functional PBE.

Lattice parameters (Å, degrees): 4.5849 5.0805 4.5849 90.00 90.00 90.00
Last column: magnetic moment on the atom in μB.
Fractional coordinates of all 5 atoms:
Mo 0.0000 0.0000 0.5000  0.26
Fe 0.5000 0.5000 0.5000  -0.04
Zn 0.0000 0.0000 0.0000  0.01
Y 0.0000 0.5000 0.0000  0.01
Mo 0.5000 0.0000 0.0000  0.23

Values from the calculation:
The electronic total energy comes out at -5.823 eV per atom.

Spin magnetization values, unit μB per formula unit, following the record order: 0.00, 0.00, 0.00, 0.53.
N(E_F) values, unit states/eV/cell, following the record order: 4.984, 5.244, 9.541, 10.091.
-- stop --
And so I did. It was fun.
Making a living of asking questions has been an amazing job. I started as a sports reporter and the questions were relatively simple:
Why zone defense and not man-to-man?
How did it feel to wrestle competitively against your brother?
Over the years, I learned that the more you pay attention, the better job you can do as a reporter. If you can notice a voice hesitancy or a change in body language, you can get better insight to your interviewees’ situation or point of view. It’s not just about listening to words.
Along the way, I heard the quote: “Listening is the most powerful thing you can do…” This is an idea that has guided me in my career and in my life.
After covering sports, business, travel, and investigative projects, I now cover horse-related topics almost exclusively. I’m interested in everything from brain science to stockmanship. I’m most intrigued by the wordless connections made between horse and rider. It’s fascinating stuff. It evolves with every interaction. Whether you are on the ground or in the saddle, the horse is always, always considering what you are telling or asking with your body, your voice, and your mind. Horse folks know that you can talk and listen a hundred yards away. A horse will feel a tiny fly on her flank and she will hear your breath and feel your brace. Becoming more and more sensitive to the communication between horse and rider is, I believe, what distinguishes fine riders from those just gettin’ stuff done.
My path with horses has me reevaluating what it means to be a good listener. Since they don’t exactly talk, listening is about watching their movement, their breathing, the softness of their eyes, the tightness of their neck and shoulders. Listening has become a mesh of knowledge and empathy, thoughtfulness and compassion, of striving to be free of ego and agenda. It’s so dang challenging to interact clearly with horses But also, for introverts like myself, it can also be more fun and rewarding than interacting with my fellow humans.
Listen to it by heading here and scrolling down.
A friend sent me a social styles worksheet the other day. It categorized people into four categories: analytical, expressive, amiable, and driven. I landed squarely among the drivers. Drivers, it said, should work on better listening.
What? How could someone who’s made a career of listening need to be a better listener?
These data records were left in the page by mistake >
'''
No. 1
A plane-wave DFT calculation with GGA+U was carried out for a relaxed structure of Fe4O3F5.

Properties
- E above lowest polymorph (meV per atom) = 49
- E_tot (eV/cell) = -140.21
- total moment (μB per atom) = 1.5000
- calculated volume (Å³/atom) = 11.76

Cell: 7.7811 7.7811 6.5107 Å, 65.59 65.59 53.89°
Last column: magnetic moment on the atom in μB.
Positions (direct):
1 O 0.3748 0.3748 0.2946  0.28
2 O 0.8767 0.8767 0.8208  0.20
3 O 0.6252 0.6252 0.7054  0.28
4 O 0.1233 0.1233 0.1792  0.20
5 O 0.8779 0.8779 0.4177  0.22
6 O 0.1221 0.1221 0.5823  0.22
7 F 0.4453 0.0432 0.7626  0.11
8 F 0.1940 0.8060 0.0000  0.13
9 F 0.3754 0.3754 0.9127  0.10
10 F 0.8060 0.1940 0.0000  0.13
11 F 0.7031 0.2969 0.5000  0.09
12 F 0.6246 0.6246 0.0873  0.10
13 F 0.2969 0.7031 0.5000  0.09
14 F 0.5547 0.9568 0.2374  0.11
15 F 0.0432 0.4453 0.7626  0.11
16 F 0.9568 0.5547 0.2374  0.11
17 Fe 0.6230 0.6230 0.4053  3.83
18 Fe 0.2406 0.2406 0.2688  4.39
19 Fe 0.1271 0.1271 0.8781  4.40
20 Fe 0.3770 0.3770 0.5947  3.83
21 Fe 0.5000 0.5000 0.0000  4.41
22 Fe 0.8729 0.8729 0.1219  4.40
23 Fe 0.7594 0.7594 0.7312  4.39
24 Fe 0.0000 0.0000 0.5000  3.19


No. 2
A plane-wave DFT calculation with GGA+U was carried out for a relaxed structure of Fe2O3F.

Properties
- E above lowest polymorph (meV per atom) = 0
- E_tot (eV/cell) = -183.40
- total moment (μB per atom) = 0.3011
- calculated volume (Å³/atom) = 10.98

Cell: 4.6783 4.6783 15.0831 Å, 90.00 90.00 94.15°
Last column: magnetic moment on the atom in μB.
Positions (direct):
1 O 0.6940 0.6901 0.4008  -0.01
2 O 0.6940 0.6901 0.5992  -0.01
3 O 0.1823 0.8177 0.8974  0.12
4 O 0.6861 0.7020 0.0000  0.02
5 O 0.8227 0.1773 0.6998  -0.15
6 O 0.6946 0.6896 0.2010  0.03
7 O 0.1803 0.8197 0.5000  0.26
8 O 0.3104 0.3054 0.7990  0.03
9 O 0.3099 0.3060 0.4008  -0.01
10 O 0.3099 0.3060 0.5992  -0.01
11 O 0.2980 0.3139 0.0000  0.02
12 O 0.3104 0.3054 0.2010  0.03
13 O 0.6946 0.6896 0.7990  0.03
14 O 0.8227 0.1773 0.3002  -0.15
15 O 0.1823 0.8177 0.1026  0.12
16 F 0.2043 0.7957 0.3008  -0.02
17 F 0.2043 0.7957 0.6992  -0.02
18 F 0.7988 0.2012 0.5000  0.14
19 F 0.7993 0.2007 0.0992  0.01
20 F 0.7993 0.2007 0.9008  0.01
21 Fe 0.0025 0.9975 0.1994  -4.18
22 Fe 0.4761 0.5239 0.1011  4.16
23 Fe 0.5308 0.4692 0.3009  -4.11
24 Fe 0.4698 0.5302 0.5000  4.12
25 Fe 0.0025 0.9975 0.8006  -4.18
26 Fe 0.4761 0.5239 0.8989  4.16
27 Fe 0.0158 0.9842 0.0000  4.20
28 Fe 0.9985 0.0015 0.3995  4.20
29 Fe 0.9985 0.0015 0.6005  4.20
30 Fe 0.5308 0.4692 0.6991  -4.11


No. 3
A plane-wave DFT calculation with GGA+U was carried out for a relaxed structure of FeO4F2.

Properties
- E_tot (eV/cell) = -141.20
- total moment (μB per atom) = 1.1460
- calculated volume (Å³/atom) = 15.72

Cell: 6.1950 5.5873 12.7129 Å, 90.00 90.00 90.00°
Last column: magnetic moment on the atom in μB.
Positions (direct):
1 Fe 0.8833 0.6064 0.9086  4.30
2 Fe 0.1167 0.1064 0.0914  4.30
3 Fe 0.8833 0.1064 0.5914  4.30
4 Fe 0.1167 0.6064 0.4086  4.30
5 F 0.5984 0.0565 0.5821  0.23
'''
The assessment has led me to reconsider yet again what it means when you say Listening is the Most Powerful Thing You Can Do.
To get better at listening is simple, but not easy. And I suppose it’s no surprise that I’ve been connecting it to horsemanship.
Can I approach a situation, animal or human, without intent or judgment?
Can my encounters be without goals or ulterior motives?
Between two parts of the text: records of crystals:
<<<
# PuThHg4, relaxed, DFT PBE
data_PuThHg4
_symmetry_space_group_name_H-M 'P 1'
_symmetry_Int_Tables_number 1
_cell_length_a 6.0017
_cell_length_b 6.0017
_cell_length_c 6.0017
_cell_angle_alpha 60.00
_cell_angle_beta 60.00
_cell_angle_gamma 60.00
loop_
_symmetry_equiv_pos_as_xyz
'x,y,z'
loop_
_atom_site_label
_atom_site_fract_x
_atom_site_fract_y
_atom_site_fract_z
_atom_site_occupancy
Pu1 0.0000 0.0000 0.0000 1
Th1 0.2500 0.2500 0.2500 1
Hg1 0.1249 0.6250 0.6250 1
Hg2 0.6250 0.1249 0.6250 1
Hg3 0.6250 0.6250 0.1249 1
Hg4 0.6250 0.6250 0.6250 1
# Magnetization, μB per formula unit: 6.06
# Uncorrected energy, eV/f.u.: -23.190
# Space group: F-43m (216)
# Energy of formation from the pure elements, eV/atom: -0.039
# Distance to the lowest polymorph of the same formula, eV per atom: 0.177

=====

# HoEr4Cu, relaxed, DFT PBE
data_HoEr4Cu
_symmetry_space_group_name_H-M 'P 1'
_symmetry_Int_Tables_number 1
_cell_length_a 3.4656
_cell_length_b 3.4656
_cell_length_c 13.6382
_cell_angle_alpha 90.00
_cell_angle_beta 90.00
_cell_angle_gamma 90.00
loop_
_symmetry_equiv_pos_as_xyz
'x,y,z'
loop_
_atom_site_label
_atom_site_fract_x
_atom_site_fract_y
_atom_site_fract_z
_atom_site_occupancy
Ho1 0.0000 0.0000 0.0000 1
Er1 0.0000 0.0000 0.3754 1
Er2 0.0000 0.0000 0.6246 1
Er3 0.5000 0.5000 0.1838 1
Er4 0.5000 0.5000 0.8162 1
Cu1 0.5000 0.5000 0.5000 1
# Magnetization, μB per formula unit: 0.00
# Uncorrected energy, eV/f.u.: -27.297
# Space group: P4/mmm (123)
# Energy of formation from the pure elements, eV/atom: -0.062

=====

# Tb3Te, relaxed, DFT PBE
data_Tb3Te
_symmetry_space_group_name_H-M 'P 1'
_symmetry_Int_Tables_number 1
_cell_length_a 12.4238
_cell_length_b 12.4238
_cell_length_c 6.1325
_cell_angle_alpha 90.00
_cell_angle_beta 90.00
_cell_angle_gamma 90.00
loop_
_symmetry_equiv_pos_as_xyz
'x,y,z'
loop_
_atom_site_label
_atom_site_fract_x
_atom_site_fract_y
_atom_site_fract_z
_atom_site_occupancy
Tb1 0.0364 0.5750 0.2368 1
Tb2 0.0750 0.9636 0.7368 1
Tb3 0.1093 0.2207 0.0384 1
Tb4 0.1410 0.6673 0.7127 1
Tb5 0.1673 0.8590 0.2127 1
Tb6 0.2207 0.3907 0.4616 1
Tb7 0.2793 0.1093 0.4616 1
Tb8 0.3327 0.6410 0.2127 1
Tb9 0.3590 0.8327 0.7127 1
Tb10 0.3907 0.2793 0.0384 1
Tb11 0.4250 0.5364 0.7368 1
Tb12 0.4636 0.9250 0.2368 1
Tb13 0.5364 0.0750 0.7632 1
Tb14 0.5750 0.4636 0.2632 1
Tb15 0.6093 0.7207 0.9616 1
Tb16 0.6410 0.1673 0.2873 1
Tb17 0.6673 0.3590 0.7873 1
Tb18 0.7207 0.8907 0.5384 1
Tb19 0.7793 0.6093 0.5384 1
Tb20 0.8327 0.1410 0.7873 1
Tb21 0.8590 0.3327 0.2873 1
Tb22 0.8907 0.7793 0.9616 1
Tb23 0.9250 0.0364 0.2632 1
Tb24 0.9636 0.4250 0.7632 1
Te1 0.0484 0.2065 0.5428 1
Te2 0.2065 0.4516 0.9572 1
Te3 0.2935 0.0484 0.9572 1
Te4 0.4516 0.2935 0.5428 1
Te5 0.5484 0.7065 0.4572 1
Te6 0.7065 0.9516 0.0428 1
Te7 0.7935 0.5484 0.0428 1
Te8 0.9516 0.7935 0.4572 1
# ΔE_f (raw), meV per atom: -650
# Magnetization, μB per formula unit: 0.00
# Uncorrected energy, eV/f.u.: -19.631
# Space group: P4_2/n (86)
>>>
Can I do better at being in the moment?
Sometimes I can. Sometimes, facing deadlines, distractions, and age-old, hard-wired behaviors, it’s really hard to listen well, especially when talking tends to be more rewarded today than being quiet.
I used to think listening was a favor or courtesy you did for other people and something you lobbed back and forth, like a game of Ping Pong. But I’m coming to understand that listening is more than just ears wide open. It’s a practice that opens up body and mind. Sure, it’s a gift for others; but it also has the rich returns of engagement where one can become a part of something greater, deeper, and better.